== Contents ==
Computed, not measured: 4 unconnected molecules or ions with the total composition C5H18O3 at a distorted geometry, with the ωB97M-V functional and the def2-TZVPD basis.

Cartesian coordinates (Å):
C  -1.58043  -1.64331  1.41857
C  -1.24686  -1.50117  -0.06933
C  -0.00108  -0.54264  -0.33179
C  0.28388  -0.39222  -1.78913
C  1.69753  0.10382  -2.12247
H  -2.18664  -2.41404  1.51767
H  -2.09782  -0.74811  1.71504
H  -0.68217  -1.51947  2.13612
H  -2.11976  -1.17861  -0.62317
H  -1.02286  -2.58117  -0.31928
H  -0.78918  0.34088  -0.03850
H  0.86777  -0.71477  0.26865
H  0.38897  -1.48790  -2.31525
H  -0.43049  -0.03122  -2.45908
H  2.01554  0.81600  -1.39256
H  2.36630  -0.67866  -2.00645
H  1.75930  0.43407  -3.40073
O  0.81574  -3.21144  1.74410
H  0.06634  -3.73768  1.36748
H  0.69153  -2.43441  1.22913
O  1.13770  3.14212  -0.23557
H  0.66100  2.96228  -1.03772
H  1.30519  2.11802  -0.01178
O  -1.23513  3.55114  1.09694
H  -0.79888  3.83679  0.29798
H  -0.65890  3.01656  1.59363

2S+1 = 1
Energy above the lowest of the compared OMol25 structures with the same formula, charge and spin = 3.517 eV
Calculated total energy = -426.88715 hartree

=====

Computed, not measured: 4 unconnected molecules or ions with the total composition C5H18O3 at a distorted geometry, with the ωB97M-V functional and the def2-TZVPD basis.

Cartesian coordinates (Å):
C  2.06882  -1.38758  1.17783
C  0.65446  -1.12529  0.73439
C  0.65197  0.09404  -0.26286
C  1.06694  -0.23099  -1.68743
C  2.56466  -0.11032  -1.94557
H  2.24004  -2.21945  1.81929
H  2.27761  -0.56249  1.84915
H  2.92740  -1.28783  0.53316
H  0.03122  -0.85820  1.62890
H  0.07714  -1.93138  0.23544
H  -0.29293  0.58531  -0.27330
H  1.45246  0.77525  0.00295
H  0.68752  -1.09407  -2.19728
H  0.54149  0.39862  -2.48650
H  2.92184  -0.35427  -2.99050
H  2.78474  0.92089  -1.74655
H  3.08654  -0.86737  -1.37410
O  0.00256  -0.80851  5.23099
H  0.09354  -1.40421  5.96373
H  0.83050  -0.54852  4.81809
O  -3.33424  -0.44411  1.09371
H  -3.18218  0.48975  1.20582
H  -3.57237  -0.83807  1.93682
O  -2.84713  3.55372  -4.88177
H  -3.14476  4.32705  -4.39949
H  -2.53193  2.78778  -4.38637

2S+1 = 1
Energy above the lowest of the compared OMol25 structures with the same formula, charge and spin = 1.568 eV
Calculated total energy = -426.95879 hartree

=====

Computed, not measured: 4 unconnected molecules or ions with the total composition C5H18O3 at a distorted geometry, with the ωB97M-V functional and the def2-TZVPD basis.

Cartesian coordinates (Å):
C  -0.36161  -0.34295  1.07516
C  -1.11436  0.89035  0.41114
C  -2.45523  1.06058  1.20009
C  -3.41378  1.83024  0.22868
C  -2.20729  1.83039  2.46318
H  0.48692  -0.00884  1.69010
H  -1.05317  -0.93887  1.58524
H  0.13730  -0.93631  0.35425
H  -0.57595  1.89455  0.41338
H  -1.10854  0.70354  -0.57656
H  -2.81717  0.06053  1.43103
H  -3.98917  2.59931  0.84417
H  -4.04788  1.32607  -0.51088
H  -2.74410  2.54429  -0.37356
H  -1.09129  1.76380  3.00717
H  -2.92104  1.48267  3.27857
H  -2.34846  2.94398  2.38573
O  3.50046  0.96505  -3.09804
H  4.26268  1.13488  -2.56674
H  3.34010  0.03216  -3.02588
O  3.28758  -4.38822  -0.84484
H  2.62469  -4.61505  -0.24794
H  3.06057  -4.88520  -1.62900
O  4.05567  -1.98522  -2.76685
H  4.29999  -2.30434  -1.96291
H  3.19304  -2.65738  -2.76470

2S+1 = 1
Energy above the lowest of the compared OMol25 structures with the same formula, charge and spin = 2.114 eV
Calculated total energy = -426.93871 hartree

=====

> Look up the calculated total energy of the third one.

-426.93871 hartree

=====

> Which value of 2S+1 does entry 3 give?

1

=====

> Among the records above, which one has the highest calculated total energy?

number 1

=====

> Which value of energy above the lowest of the compared OMol25 structures with the same formula, charge and spin does entry 2 give?

1.568 eV

~~~~~

== Request ==
Your job: transcribe all of the notes further above without altering anything.

== Worked solution ==
Computed, not measured: 4 unconnected molecules or ions with the total composition C5H18O3 at a distorted geometry, with the ωB97M-V functional and the def2-TZVPD basis.

Cartesian coordinates (Å):
C  -1.58043  -1.64331  1.41857
C  -1.24686  -1.50117  -0.06933
C  -0.00108  -0.54264  -0.33179
C  0.28388  -0.39222  -1.78913
C  1.69753  0.10382  -2.12247
H  -2.18664  -2.41404  1.51767
H  -2.09782  -0.74811  1.71504
H  -0.68217  -1.51947  2.13612
H  -2.11976  -1.17861  -0.62317
H  -1.02286  -2.58117  -0.31928
H  -0.78918  0.34088  -0.03850
H  0.86777  -0.71477  0.26865
H  0.38897  -1.48790  -2.31525
H  -0.43049  -0.03122  -2.45908
H  2.01554  0.81600  -1.39256
H  2.36630  -0.67866  -2.00645
H  1.75930  0.43407  -3.40073
O  0.81574  -3.21144  1.74410
H  0.06634  -3.73768  1.36748
H  0.69153  -2.43441  1.22913
O  1.13770  3.14212  -0.23557
H  0.66100  2.96228  -1.03772
H  1.30519  2.11802  -0.01178
O  -1.23513  3.55114  1.09694
H  -0.79888  3.83679  0.29798
H  -0.65890  3.01656  1.59363

2S+1 = 1
Energy above the lowest of the compared OMol25 structures with the same formula, charge and spin = 3.517 eV
Calculated total energy = -426.88715 hartree

=====

Computed, not measured: 4 unconnected molecules or ions with the total composition C5H18O3 at a distorted geometry, with the ωB97M-V functional and the def2-TZVPD basis.

Cartesian coordinates (Å):
C  2.06882  -1.38758  1.17783
C  0.65446  -1.12529  0.73439
C  0.65197  0.09404  -0.26286
C  1.06694  -0.23099  -1.68743
C  2.56466  -0.11032  -1.94557
H  2.24004  -2.21945  1.81929
H  2.27761  -0.56249  1.84915
H  2.92740  -1.28783  0.53316
H  0.03122  -0.85820  1.62890
H  0.07714  -1.93138  0.23544
H  -0.29293  0.58531  -0.27330
H  1.45246  0.77525  0.00295
H  0.68752  -1.09407  -2.19728
H  0.54149  0.39862  -2.48650
H  2.92184  -0.35427  -2.99050
H  2.78474  0.92089  -1.74655
H  3.08654  -0.86737  -1.37410
O  0.00256  -0.80851  5.23099
H  0.09354  -1.40421  5.96373
H  0.83050  -0.54852  4.81809
O  -3.33424  -0.44411  1.09371
H  -3.18218  0.48975  1.20582
H  -3.57237  -0.83807  1.93682
O  -2.84713  3.55372  -4.88177
H  -3.14476  4.32705  -4.39949
H  -2.53193  2.78778  -4.38637

2S+1 = 1
Energy above the lowest of the compared OMol25 structures with the same formula, charge and spin = 1.568 eV
Calculated total energy = -426.95879 hartree

=====

Computed, not measured: 4 unconnected molecules or ions with the total composition C5H18O3 at a distorted geometry, with the ωB97M-V functional and the def2-TZVPD basis.

Cartesian coordinates (Å):
C  -0.36161  -0.34295  1.07516
C  -1.11436  0.89035  0.41114
C  -2.45523  1.06058  1.20009
C  -3.41378  1.83024  0.22868
C  -2.20729  1.83039  2.46318
H  0.48692  -0.00884  1.69010
H  -1.05317  -0.93887  1.58524
H  0.13730  -0.93631  0.35425
H  -0.57595  1.89455  0.41338
H  -1.10854  0.70354  -0.57656
H  -2.81717  0.06053  1.43103
H  -3.98917  2.59931  0.84417
H  -4.04788  1.32607  -0.51088
H  -2.74410  2.54429  -0.37356
H  -1.09129  1.76380  3.00717
H  -2.92104  1.48267  3.27857
H  -2.34846  2.94398  2.38573
O  3.50046  0.96505  -3.09804
H  4.26268  1.13488  -2.56674
H  3.34010  0.03216  -3.02588
O  3.28758  -4.38822  -0.84484
H  2.62469  -4.61505  -0.24794
H  3.06057  -4.88520  -1.62900
O  4.05567  -1.98522  -2.76685
H  4.29999  -2.30434  -1.96291
H  3.19304  -2.65738  -2.76470

2S+1 = 1
Energy above the lowest of the compared OMol25 structures with the same formula, charge and spin = 2.114 eV
Calculated total energy = -426.93871 hartree

=====

> Look up the calculated total energy of the third one.

-426.93871 hartree

=====

> Which value of 2S+1 does entry 3 give?

1

=====

> Among the records above, which one has the highest calculated total energy?

number 1

=====

> Which value of energy above the lowest of the compared OMol25 structures with the same formula, charge and spin does entry 2 give?

1.568 eV

~~~~~